Thursday, December 28, 2006

The Christmas Presents

As everyone knows, Christmas morning begins early. But, like other mornings, certain routines must be observed.

'''
No. 1
# SmHo4Al2 PBE optimized geometry
data_SmHo4Al2
_chemical_formula_sum 'Sm2 Ho8 Al4'
_symmetry_space_group_name_H-M 'I 4/m m m'
_symmetry_Int_Tables_number 139
_symmetry_space_group_name_Hall '-I 4 2'
_cell_length_a 5.6237
_cell_length_b 5.6237
_cell_length_c 12.7179
_cell_angle_alpha 90.00
_cell_angle_beta 90.00
_cell_angle_gamma 90.00
loop_
_atom_site_label
_atom_site_type_symbol
_atom_site_fract_x
_atom_site_fract_y
_atom_site_fract_z
_atom_site_occupancy
Sm1 Sm 0.0000 0.0000 0.0000 1
Ho1 Ho 0.0000 0.5000 0.0000 1
Ho2 Ho 0.0000 0.5000 0.2500 1
Al1 Al 0.0000 0.0000 0.3849 1
# M_tot, μB per formula unit: 0.000
# DOS at the Fermi energy, states/eV/f.u.: 9.48
# Final energy, eV/atom: -4.081
# Formation energy, eV per atom: 0.279
# Energy relative to the lowest polymorph listed for this composition, kJ/mol of atoms: 46.8
# Calculated volume, Å³ per cell: 402.22

No. 2
# Sm3HoAl2 PBE optimized geometry
data_Sm3HoAl2
_chemical_formula_sum 'Sm6 Ho2 Al4'
_symmetry_space_group_name_H-M 'P m c 21'
_symmetry_Int_Tables_number 26
_cell_length_a 5.1718
_cell_length_b 9.6494
_cell_length_c 6.6286
_cell_angle_alpha 90.00
_cell_angle_beta 90.00
_cell_angle_gamma 90.00
loop_
_symmetry_equiv_pos_as_xyz
'x,y,z'
'-x,-y,z+1/2'
'-x,y,z'
'x,-y,z+1/2'
loop_
_atom_site_label
_atom_site_type_symbol
_atom_site_fract_x
_atom_site_fract_y
_atom_site_fract_z
_atom_site_occupancy
Sm1 Sm 0.0000 0.0410 0.0000 1
Sm2 Sm 0.0000 0.3290 0.3358 1
Sm3 Sm 0.5000 0.1779 0.7162 1
Ho1 Ho 0.5000 0.4569 0.0505 1
Al1 Al 0.0000 0.3527 0.8210 1
Al2 Al 0.5000 0.1498 0.2328 1
# M_tot, μB per formula unit: 0.000
# DOS at the Fermi energy, states/eV/f.u.: 5.23
# Final energy, eV/atom: -4.640
# Formation energy, eV per atom: -0.270
# Energy relative to the lowest polymorph listed for this composition, kJ/mol of atoms: 0.0
# Calculated volume, Å³ per cell: 330.80

----------

(1)
## CoWCl2 (GGA-PBEsol)

Data for a relaxed structure of CoWCl2.

POSCAR file:
```
CoWCl2
1.0
-2.8590 -1.1827 -0.3901
1.8901 0.3511 -2.4554
2.6936 -7.2440 2.9090
Co W Cl
1 1 2
Direct
0.8784 0.6377 0.5161 Co
0.6168 0.1036 0.7204 W
0.0243 0.9071 0.9314 Cl
0.4805 0.8517 0.3322 Cl
```

Its excess energy over the best structure of this formula in the dataset is 0 kJ/mol of formula units. The value obtained for the calculated total energy is -26.2 eV for the cell shown. As for the space group: Cm, No. 8.

(2)
## KMgS2Cl (GGA-PBEsol)

Data for a relaxed structure of KMgS2Cl.

POSCAR file:
```
KMgS2Cl
1.0
4.8070 0.0000 0.0000
0.0000 4.8070 0.0000
0.0000 0.0000 5.2048
S Mg K Cl
2 1 1 1
Direct
0.5000 0.0000 0.0000 S
0.0000 0.5000 0.0000 S
0.0000 0.0000 0.0000 Mg
0.5000 0.5000 0.5000 K
0.0000 0.0000 0.5000 Cl
```

The value obtained for the calculated total energy is -17.7 eV for the cell shown. As for the space group: P4/mmm, No. 123.

(3)
## NaMg3B (GGA-PBEsol)

Data for a relaxed structure of NaMg3B.

POSCAR file:
```
NaMg3B
1.0
4.6743 0.0000 0.0000
0.0000 4.6743 0.0000
0.0000 0.0000 4.6743
B Mg Na
1 3 1
Direct
'''

This photo shows the carpets that surround my loft; here, I stretch out every morning.

The next order of business is the Walk Outside. This I shall pass over with the decorum that comes naturally to me.

Rituals observed on Christmas morning, the time has come to search for presents! If you read the previous entry you're already privy to the Roushanzamir's Christmas lists. Below I'll simply upload the shots --taken by Mama who has seemingly recovered from the holiday excesses -- and provide brief commentary as needed.

First order of business [of course]: rush to the tree [see photo]. Of note: the ornament topping the Cypress tree was specially crafted by Nikos Kavoori for Mama in what's now known as Nikos' Early Period. Its value has since sky-rocketed, in particular since Nikos abandoned that medium when he moved into his Utilitarian Phase. This shot also permits a narrow glimpse into the collage-like ambiance of Mama's et Papa's home; see in particular the crystal ball [located at the far left front]

Presents there were, although as per previous discussion [12/27/06] , Mama's smallish haul [if I may use such a crass term] showed an inverse correlation to the comparative length of her list. Still, not to be sneezed at: fully 11 Dr. Who dvd/s.

Frankly, I found Papa's original list disappointingly dull. To refresh your memory, he asked for clothes, a calander, a belt, an Old Navy gift certificate!

What a nightmare: no toys, no diamonds, just the sadly mundane necessities. For all that, Santa delivered with a certain panache. Even the gift certificate reflects Santa's flair, as he enhanced the dreary practical with a choice both witty and charming.

With all due respect, my own requests from Santa reveal in part how I've insinuated myself into the position of power that it's widely acknowledged I hold in the Roushanzamir household. I wasted no time on frivolous wishes for sweaters, food bowls, new leashes and the like. Those are merely my due.

Pictured below, and requiring no comment at all, are only 3 of the gorgeous and glorious Toys that I unwrapped on Christmas morning. [The wrapping paper itself deserves a separate blog entry; rarely as I permitted such liberties with paper as on Christmas morning.]

In the spirit of Christmas, I presented Mama et Papa with a special present.

Finally, replete and happy, I retired to Mama's et Papa's spacious futon [approximately 12 times larger than mine-- but I'll write about my furniture on another day] to play with the very best of toys, Papa's sock.

Friends & fans, as a post script I add the picture of the one blot on my Christmas morning, which as mentioned in the previous entry, Mama has agreed to return in exchange for More Toys.

Wednesday, December 27, 2006

Santa's Visit

Below, find the letter I mailed to Santa on behalf of the Roushanzamir family. It's rather lengthy. Please persevere. The letter is followed by our success rate and analysis.

2006 Letter to Santa [Christmas Gift Request Letter for the Roushanzamir Family]:

Dear, Wonderful Santa,

On behalf of myself and my Papa & Mama here find our lists of What We Want for Christmas. We have all been very well behaved: no pouting, no crying, no shouting, and etc. In other words, we've all been really good indeed. All year long.

[OK: for the sake of honesty we've all been as good as can be expected. And we hope that, with promises for even better behavior next year (2007), you'll feel free to honor our wishes this year (2006).]

In alphabetical order by first name:


1 cool African market basket from Earth Fare

1 soft silk and cashmere sweater, long & lean style

Doctor Who - The Key to Time Collection (1975)
Doctor Who - The Talons of Weng-Chiang (1975)

Doctor Who - Earthshock (Episode 122) from
Doctor Who - The Five Doctors (Episode 130)
The Maigret DVD Collection

A special Queen's coronation box

Dickens' leather-bound writing journal

Bezzel-set diamond necklace set in 18-carat gold


No need to include my wishes here. I've emailed my wish list far ahead of time with the caveat that if you don't receive it, I'll resend. So let me know.


$50 gift certificate from Old Navy
Avenger’s calander
All-England football wind jacket
Western-style belt

Santa, I've spent a great deal of time & care assembling these lists for our family.

One factor stands out: Mama's list is the longest.

Please don't hold this against her or think her greedy. The truth of the matter: Mama is my hero. Although I take her for granted, I know she's the one who stays with me all day long and puts my needs before her own. I do not mean to imply that Papa & I do not equally deserve consideration. Simply put, although the length of Mama's list is greater, her actions should not be considered avaricious nor be counted as Bad Behavior.

Santa, we all love you & think of you throughout each year (not only close to Christmas time). Are you doing well? We hope so. Say hello to Mrs. Santa and all your pals at the North Pole.

Finally, we hope you can slip down our chimney despite the fact that a block was put up on the roof to keep out undesirables; but that does not mean you!

Lots of Love from your good friend ,
Mercury Murphy Roushanzamir

p.s. One more note about Mama's list. Perhaps Saeid will get her the African market basket. Contact him so there's no duplication


The Results:

Apparently the letter was received; as a group we had an 90% success rate [margin of error +/- 3].

For example, Although I'd asked for 3 rapping plush dog toys, I received only one. It was, however, my first choice. When squeezed, it raps: "D--O--G D--O--G what you gonna do, what you gonna do when they come for you?"

Mama did find all the requested Dr. Who dvd/s except "The Talons of Weng-Chiang." She received the leather-bound Dickens journal. Sadly the Maigret dvd/s were not under the tree [a living Cypress]. Nor was there an African basket. She knew the diamond necklace was a long shot anyway; it may have been her demise [see analysis below].

Saeid's every wish was granted.

Analysis :

Mama, in making her [too] many requests, overstepped the boundaries of good gift requesting taste. Her faux-pas was noted, despite my well-crafted plea.

Mercury: Admittedly many of my requests were for the arcane, the mysterious, the rare. So I don't complain; with the exception of a spa robe [which Mama has agreed to return & exchange], all my presents were toys. No sweaters, pj/s or cute doggie accessories [see the September 7, 2006 entry for the suggestive books regarding smaller dogs' preferences].

As for Saeid, it seems that Santa agrees with the allegation that "Saeid's the nicest guy in Athens." I include the quotation marks for good reason: how many times have I listened to Athenians from the day, townies, and newcomers alike make that remark.

Finally: As you may know, Mama serves as my photographer as well as fulfilling other support functions. But, replete with Christmas food & drink, a recuperation period is in order.

Shots of the best of the best gifts from Santa will appear in due course as will tips for crafting your own letter to Santa in 2007.

Monday, December 25, 2006


Peace on Earth, Good Will towards Men

Merry Christmas with love & appreciation to my Loyal Fans

Mercury Murphy Roushanzamir

Monday, December 18, 2006

Update: My Modeling Career

Although slated for today was another section on the Gang of Ten [see December 1, 2006] , some good news supercedes [over what's a basic rehashing of Mama's graduate teaching & the Scholarly Exemplars with whom she has shared a brief moment of their lives].

My modeling career [see October 7, 2006] is exploding. Some particularly fine Christmas shots will appear nationwide on a television Christmas special; you may have already spotted them in the splashy holiday fashion layouts.

My portfolio also includes a shoot for a prestigious East Coast restaurant, Zamir-e-Zan. It earned its reputation: eclectic menu and decor, impeccable yet understated service, and designer food. Zamir-e-Zan honored me by refusing to accept an alternative Face, waiting for over a week 'til my previous engagement came to an end.

Modeling is both a fascinating, rewarding career & an intriguing word. I've found 25 definitions of "modeling"-- it can be used as a noun, adjective and verb [with or without object].

Synonyms include:

paragon prototype, archetype, mold, original [apparently, my profession chose me]

This final head shot is my way of extending seasons greetings to you, my loyal fans. [courtesy of Bella Vita Fotografie, ]

FYI: I'm looking forward to Santa's visit with all my heart.

Wednesday, December 06, 2006

Mercury Resting

In the old times, when an actor was out of work, he said, "I am resting."

Since Mama was incapacitated by a sharp knife, necessitating a trip to the emergency room where she received Stitches, she refuses to turn on the computer or place me on my chair.

This brief entry is thanks solely to Papa's largesse.

And, I join the stage denizens with their ever-ready excuse: I Am Resting.

Saturday, December 02, 2006

Stitch in Time

Pauvre Mama!

She sliced her little finger on 12/06 & 2 stitches were taken.

As you may know, although I am the sole creative force behind the MercuryMurphy blog, Mama turns on the computer and sets me up on my chair. [For more about my creative process, including the recipe for innovation-inducing libations, see entry of November 25, 2006.]

Thus there will be a slight delay before my next posting.

In the meantime, feel free to review some of my earlier entries.

I suggest the series of mystery reviews [October 2006], musings on media interviews with Andy Lester [by Chris Matthews], Jerry Seinfeld, and Superman [September 2006], informative essays about global artifacts & pictures of me as a baby [August 2006], and specifics about a dog's life in the Roushanzamir family [July 2006; entry, July 28, a view of my loft].

For another pleasant read, click "view my complete profile" located at the end of "About Me" to the right of your screen.

Remember: blogs invite comments.
Click on "comments" at the end of each entry to record your own.

Til later, my good friends & fans,
Mercury Murphy Roushanzamir/M-squared

Post Script: Mama's suggestion: "go to BBC-America web site for days & times during the week when you can watch the Time Lords of Galifrey program Dr. Who; watch him travel through space & time in his Tardis [time and relative dimensions in space machine--see photos of outside & inside below]," she says.

Friday, December 01, 2006

Gang of Ten, Tribute: part 1

Mama asked that I use my blog space to recognize VIPs: her former graduate students, 2 MA, 8 Ph.D. students. As she kindly grants access to her files & computer, it seems wise to comply with her request.

Contrary to Mama's assumptions , Allyson Mann: doesn't like coffee, isn't wild about Woody Allen films, and prefers not to pursue a Ph.D. However, Allyson conducted original research, visited Mama in Innsbruck, and was the 1st grad student Mama advised through completion of degree. She's a supportive, mysterious friend. My diligent web search discovered 1 image of her:
For Brian Vaught's MA thesis, he constructed a post-modern ethnography, an online exploration of media production, forms & impact. He attended FAU & University of Illinois [close to finishing his doctoral degree].

So we begin the Gang of Ten, Tribute. Please return often over the next few days to meet the other VIPs.
For my educational background go to
blog entry, July 21, 2006.